Submitted by Don Doman
Headlines of high-rise apartments burning from suspected terrorist or just ordinary circumstances can make it seem like the whole world is on fire. The news is scary: fire killed at least 80 people in the Grenfell Tower fire in London. In Honolulu a fire on the 26th floor of the 36 floor Marco Polo Apartments resulted in three deaths. But not everything is always as it seems. The London fire burned and killed people because the government chose not use the siding suggested by the contractors, but a much cheaper and less safe alternative. The Honolulu apartment building was constructed in 1971. In 1974 the city began requiring sprinkler systems in high-rises. So, the world is changing and it’s trying to improve our lives with safety.
Sometimes it seems like the whole world is on fire.Fire sprinklers are the best deterrent for deaths in most buildings. Sprinklers are not instantaneous. They react to temperatures. When the danger level is reached, they begin their work. In operation they reduce the heat, the flames and the smoke. Properly installed and maintained fire sprinklers help reduce property loss and save lives. Some people believe they should be mandatory is homes as well as commercial establishments and high-rise buildings.
According to an American Housing Survey, “4.6% of occupied homes (including multi-unit) had sprinklers in 2009, up from 3.9% in 2007, and 18.5% of occupied home built in the previous four years had sprinklers.” – Source: U.S. Experience with Sprinklers.
(Unrelated to this entry: records of crystals)
'''
1.
Density functional theory data (PBE) for crystalline PaCr2Re at its relaxed geometry.

POSCAR file:
```
PaCr2Re
1.0
-2.182 -1.916 0.683
2.023 -1.939 1.024
-0.519 2.943 6.599
Re Pa Cr
1 1 2
Cartesian
-0.080 -1.927 0.853 Re
-0.339 -0.456 4.153 Pa
-0.414 2.350 5.270 Cr
-0.105 0.593 1.329 Cr
```

Output
Relative energy among the computed polymorphs (meV per atom): 0.0
Energy of formation (eV/atom): 0.159
Density of states at the Fermi level (states/eV/f.u.): 5.08

2.
Density functional theory data (PBE) for crystalline BaAc12La3 at its relaxed geometry.

POSCAR file:
```
BaAc12La3
1.0
5.612 0.000 0.000
0.000 5.612 0.000
0.000 0.000 22.438
Ba Ac La
1 12 3
Cartesian
0.000 0.000 0.000 Ba
2.806 2.806 0.000 Ac
2.806 2.806 5.709 Ac
2.806 2.806 11.219 Ac
2.806 2.806 16.730 Ac
2.806 0.000 2.992 Ac
2.806 0.000 8.467 Ac
2.806 0.000 13.971 Ac
2.806 0.000 19.447 Ac
0.000 2.806 2.992 Ac
0.000 2.806 8.467 Ac
0.000 2.806 13.971 Ac
0.000 2.806 19.447 Ac
0.000 0.000 5.695 La
0.000 0.000 11.219 La
0.000 0.000 16.743 La
```

Output
Energy of formation (eV/atom): 0.034
Density of states at the Fermi level (states/eV/f.u.): 29.79

3.
Density functional theory data (PBE) for crystalline Er2Tm3Mg8 at its relaxed geometry.

POSCAR file:
```
Er2Tm3Mg8
1.0
5.816 0.000 0.000
2.908 5.037 0.000
2.908 1.679 12.199
Er Tm Mg
2 3 8
Cartesian
5.816 3.358 0.973 Er
5.816 3.358 11.227 Er
0.000 0.000 0.000 Tm
8.725 5.037 6.709 Tm
2.908 1.679 5.490 Tm
8.725 5.037 10.053 Mg
2.908 1.679 2.146 Mg
4.360 4.199 3.799 Mg
5.816 1.676 3.799 Mg
7.273 4.199 3.799 Mg
5.816 5.040 8.400 Mg
7.273 2.517 8.400 Mg
4.360 2.517 8.400 Mg
```

Output
Energy of formation (eV/atom): 0.138
Density of states at the Fermi level (states/eV/f.u.): 13.73

Q: What is the formula in the second record?
A: BaAc12La3
'''
(Back to the entry)
Even a romantic evening can be cause for alarm.Picture a nice romantic candle-lit evening with a special home cooked meal followed up with stained napkins and table cloths in the washer and dryer. That scenario could spell disaster. according to National Fire Protection Association it’s almost a winning hand of death and destruction. It contains all the elements of the most common causes of house fires: Electrical Fires, Cooking Fires, Dryers (heating elements and lint), and Candles. If we threw in smoking cigars or cigarettes, we’d a have a full house. A home sprinkler system would help save lives for that romantic setting.
Home sprinkler systems increase the costs of new homes, which are already high. Many people can’t afford the price. The best alternative to home sprinkler systems is home fire and smoke alarms. Many of the existing home alarms use battery power and owners forget or don’t bother to replace the batteries, so it is better to have a wired system.
To respond fire departments need to be notified where to go.Six Facts about Home Sprinkler Systems:
1. 85% of all U.S. fire deaths occur in the home.
2. Home fire sprinklers may control or extinguish a fire before fire departments can arrive.
3. Sprinklers closest to the fire activate.
4. 84% of home fires where sprinklers operate, only one sprinkler operates.
5. The risk of dying is cut one-third where smoke alarms are present, while automatic fire sprinkler systems cut the risk of dying approximately 80%.
6. Home sprinklers, can reduce the average property loss per fire by about 70% (compared to house fires without sprinklers.)
7. The average cost of installing home fire sprinklers is $1.35 per sprinklered square foot.
– American Housing Survey
To protect your business or home, you can install your own battery operated alarms, but there are professional firms in the Puget Sound area that install, inspect, service, and monitor alarms to protect your valuables and family. If you have a fire, you may need as much protection and help as you can get. Local fire departments do their job, but they need to be notified of fires first. Wired systems assure the quickest response. In a world on fire, your family’s safety is the main concern.
Home fire sprinklers are “expensive”? I will debate that. The entire state of CA has been installing in ALL NEW HOMES for 7 years without any qualms about cost. Two counties in MD for 30 years. The entire state for 3 years. 100 towns in Illinois.